• Slowpoke [none/use name]
    3 years ago

    Funny enough, neither of those countries is socialist. Scandinavia in general is not what Americans think it is. They have such a simplistic view. Here's the reality:

    Norway: I fought the Germans for 62 days, then our leader's name entered the English language as a synonym for 'collaborator'.

    Denmark: I fought the Germans For 5 hours, then became a model Nazi province.

    Finland: I invaded and annexed Soviet territory shoulder to shoulder with the Nazis, then created my own concentration camps in which I imprisoned civilians that I ethnically cleansed.

    Sweden: I supplied the Germans with iron, without which their war effort would have ground to a halt.

    All of us supplied volunteers for the SS.

    • Ram_The_Manparts [he/him]
      3 years ago

      then our leader’s name entered the English language as a synonym for ‘collaborator

      This would only be some sort of argument if Quisling was already in power when the nazis invaded, which he wasn't. The nazis installed him as "our leader", not the norwegian people.

      You're also conveniently leaving out the resistance movements who most definitely did not lay down arms after 62 days. But I suppose that they and all the people who supported them were all "collaborators" as well, including the communists.

      • Slowpoke [none/use name]
        3 years ago

        Why's it so hard to condemn Nazi collaborators? I had no idea so many users were so defensive about their history. I would think that condemning them would be second nature, but no. You bring up American slavery all the time; how is this any different?

        You’re also conveniently leaving out the resistance movements

        Our resistance movement was called the Union Army and we had a civil war in which hundreds of thousands of us died to put an end to slavery. How's that compare?

        • Mardoniush [she/her]
          3 years ago

          Your "resistance" movement outcompeted the total industrial production of the south by almost an order of magnitude. The slavers never had a chance, as long as the North fought.

          Norway put up a pretty decent fight, all things considered, held out and even advanced until the Brits abandoned them leaving them without air support or supply. The commander of their remaining forces committed suicide as soon as he was out from the Nazi's thumb.

          Their government managed to escape and refused to surrender. And their resistance (40,000 strong) famously crippled the Nazi Nuclear Progam and forced a 300,000 strong occupation army to stay in place, crippling the Nazi's in the later stages of the war.

          The entire population, save 15000 SS Chuds, maintained a consistent program of Civil Disobedience.

          Yeah, Quisling was a Nazi shit, and he and his entire government died Nazi shits up against the wall. Lesser Collaborators were ostracised, literally. Many starved to death.

          Meanwhile the USA was importing rocket scientists and packing NATO with Nazi goons.

          • Slowpoke [none/use name]
            3 years ago

            See what I mean? Endless contempt for Americans, while excusing your own, far worse crimes. You people have a real problem with being defensive.

            Norway put up a pretty decent fight, all things considered,

            62 whole days! Hey, don't you ridicule the Poles for folding faster than Superman on laundry day? They held out for 40 days.

            crippled the Nazi Nuclear Progam

            That program never had a chance. There was zero possibility of them ever actually making a bomb.

            save 15000 SS Chuds

            How many Americans joined the SS? You see how easy this is?

            And I love the anti-NATO sentiment. Trump could have written that himself.

              • Slowpoke [none/use name]
                3 years ago

                No, I am criticizing them for being Nazi collaborators. I'm more than a little shocked at the angry denial of complicity in Nazi war crimes in this thread. Add to it words that could have been written by Trump, and I think I've had enough internet for the day. I'm gonna go outside and walk in the park.

            • Mardoniush [she/her]
              3 years ago

              I'm not European, and our crimes are...about equal to the USA, really. Yay settler colonialism.

              62 whole days! Hey, don’t you ridicule the Poles for folding faster than Superman on laundry day? They held out for 40 days.

              Poles underperformed in the initial invasion, it's true, they also had an army of 1 million to Norway's 50,000.

              That program never had a chance. There was zero possibility of them ever actually making a bomb.

(Misplaced data records)
/*
This record from Alexandria via LeMat-Bulk describes a geometry-optimized AcMgAu structure. The functional is GGA-PBE.

Geometry as POSCAR:
```
AcMgAu
1.0
7.656 0.000 0.000
0.000 4.764 0.000
0.000 0.000 8.971
Ac Mg Au
4 4 4
Direct
0.036 0.250 0.180
0.464 0.750 0.680
0.536 0.250 0.320
0.964 0.750 0.820
0.135 0.250 0.558
0.365 0.750 0.058
0.635 0.250 0.942
0.865 0.750 0.442
0.233 0.750 0.382
0.267 0.250 0.882
0.733 0.750 0.118
0.767 0.250 0.618
```

Computed properties:
Calculated volume ... 27.263 Å³/atom
Energy relative to the elements ... -0.624 eV per atom
Space-group type ... Pnma
Distance to the lowest polymorph of the same formula ... 0.06 eV per formula unit
Total magnetic moment ... 0.0 μB per formula unit

* * * * *

# Li2B2Cl7 | Alexandria via LeMat-Bulk | PBE-GGA | relaxed
data_Li2B2Cl7
_chemical_formula_sum 'Li4 B4 Cl14'
_space_group_name_H-M_alt 'C 1 2/m 1'
_space_group_IT_number 12
_space_group_name_Hall '-C 2y'
_cell_length_a 8.986
_cell_length_b 10.097
_cell_length_c 5.621
_cell_angle_alpha 90.00
_cell_angle_beta 109.69
_cell_angle_gamma 90.00
loop_
_atom_site_label
_atom_site_type_symbol
_atom_site_fract_x
_atom_site_fract_y
_atom_site_fract_z
Li1 Li 0.000 0.205 0.000
B1 B 0.214 0.500 0.404
Cl1 Cl 0.000 0.500 0.500
Cl2 Cl 0.117 0.000 0.288
Cl3 Cl 0.226 0.349 0.224
# energy relative to the elements, uncorrected = -0.929 eV per atom
# raw total energy = -0.13472 Ha/atom
# energy relative to the lowest polymorph listed for this composition = 0.0429 eV/atom

# CeErZn2In2 | Alexandria via LeMat-Bulk | PBE-GGA | relaxed
data_CeErZn2In2
_chemical_formula_sum 'Ce1 Er1 Zn2 In2'
_space_group_name_H-M_alt 'P -3 m 1'
_space_group_IT_number 164
_space_group_name_Hall '-P 3 2"'
_cell_length_a 4.6973
_cell_length_b 4.6973
_cell_length_c 7.3758
_cell_angle_alpha 90.00
_cell_angle_beta 90.00
_cell_angle_gamma 120.00
loop_
_atom_site_label
_atom_site_type_symbol
_atom_site_fract_x
_atom_site_fract_y
_atom_site_fract_z
Ce1 Ce 0.0000 0.0000 0.0000
Er1 Er 0.0000 0.0000 0.5000
Zn1 Zn 0.3333 0.6667 0.2786
In1 In 0.3333 0.6667 0.7394
# raw total energy = -0.12708 Ha/atom
# formation energy = -0.371 eV/atom

# SrLi3Sn2 | Alexandria via LeMat-Bulk | PBE-GGA | relaxed
data_SrLi3Sn2
_chemical_formula_sum 'Sr4 Li12 Sn8'
_space_group_name_H-M_alt 'C 1 2/m 1'
_space_group_IT_number 12
_space_group_name_Hall '-C 2y'
_cell_length_a 14.141
_cell_length_b 4.914
_cell_length_c 9.411
_cell_angle_alpha 90.00
_cell_angle_beta 118.70
_cell_angle_gamma 90.00
loop_
_atom_site_label
_atom_site_type_symbol
_atom_site_fract_x
_atom_site_fract_y
_atom_site_fract_z
Sr1 Sr 0.141 0.000 0.021
Li1 Li 0.049 0.000 0.371
Li2 Li 0.088 0.500 0.677
Li3 Li 0.224 0.500 0.548
Sn1 Sn 0.058 0.500 0.195
Sn2 Sn 0.203 0.000 0.707
# raw total energy = -0.11131 Ha/atom
# formation energy = -0.457 eV/atom

# MgBS2 | Alexandria via LeMat-Bulk | PBE-GGA | relaxed
data_MgBS2
_chemical_formula_sum 'Mg4 B4 S8'
_space_group_name_H-M_alt 'I -4 2 d'
_space_group_IT_number 122
*/

              They didn't have the funding, but until 1942 they were pretty close to where the US was in technical capability.

              How many Americans joined the SS? You see how easy this is?

              At least several dozen, probably several hundred. When did the Yanks join the war again? Oh yeah, after the Nazi's declared war on you. It is easy isn't it?

              What is this a pro-NATO sub now?

              • Slowpoke [none/use name]
                3 years ago

                When did the Yanks join the war again?

                Roosevelt was doing everything he could to get a war started. There was an undeclared war in the Atlantic. The American people had fled Europe, and were deeply suspicious of getting involved in the old country's problems. What more did you want him to do? He cut Japan off from its oil supplies and boxed them in to declaring war.

                At least several dozen, probably several hundred.

                Five. As opposed to the Scandinavians who happily volunteered to fill up entire SS divisions. SS Division Wiking, SS Division Nordland, you get the idea.

                • Vncredleader
                  3 years ago

                  if Roosevelt gets compliments for the quasi-war in the Atlantic and giving material, then Norway and Denmark at least deserve credit for openly fighting, even if only for a while. If they only could last one day fighting back and did so, that would be as worthy of praise as if they lasted 100. The point is they did oppose the Nazis, and at that moment moreso than america

              • Slowpoke [none/use name]
                3 years ago

                Poland is a laughingstock of Europe because of that. They charged German tanks with cavalry. That's how the story goes.

                • Mardoniush [she/her]
                  3 years ago

                  I'm no fan of the Second Polish Republic (grumble Warsaw grumble should have won), but The Charge at Krojanty (against a motorised infantry division with armoured cars) was a) successful and b) as glorious as war gets.

    • Sen_Jen [they/them]
      3 years ago

      A country's allegiance 75 years ago aren't a very good indicator of whether or not they're socialist today, especially since half of them lost to the Nazis. Talk about social imperialism and capitalism instead of some shit which most people today won't care about

      Wait nvm you're just accusing anyone and everyone on this site of defending Nazis lol

    • canthisObeunbroken [any]
      3 years ago

      bad logic. yugoslavia was invaded by the nazis, does that make them fascist? you could just say that they're actually social democracies instead of using this shit. a lot has changed in central europe the last almost century

        • canthisObeunbroken [any]
          3 years ago

          motherfucker where in my post did I defend nazi collaborators? A loooooot has changed in the last 75+ years in europe. Hell, Germans went from well, nazis, to metrosexual gay guys with skinny glasses who go to the discoteque to listen to der funkybeats when off work. using that scandinavia used to be part of the nazi empire as your go to example of them either a) not being socialist countries, or b) not being like the image Americans have of scandinavia, is both weird and does nothing to prove or disprove your thesis, when you could just say they still rely on capitalist resource extraction from global poor nations or something.

          • Slowpoke [none/use name]
            3 years ago

            using that scandinavia used to be part of the nazi empire

            No, no, no. I said they were Nazi collaborators. I don't get why this simple concept is getting such tremendous pushback. The fact that it's in the past has nothing to do with it. America doesn't get a break from slavery because it was in the past. Therefore the same applies to Scandinavia.

            Oh, you don't like your crimes being brought up? Hmm, what a fascinating concept.

            And just so you know, the idea that Germans will happily go back to Nazism is behind the vehement suppression of the far right in Germany. AfD is frozen out of the government, and for good reason. Germans are just champing at the bit to go back to Nazism. If you don't believe me, just ask one of them. Heck, Trump withdrawing US troops was seen as a threatening gesture, one likely to release the Germans from under the American thumb to become a threat to all Europe once again.

        • ellipsespatrol [none/use name]
          3 years ago

          Instead of focusing on the threats of the 20th century try looking forward to the problems we will encounter soon

          • Slowpoke [none/use name]
            3 years ago

            Nice distraction!

            Get over yourself. Nazis and Nazi sympathizers don’t deserve compassion. If you want compassion from the world learn how to put it into the world. If you can’t, you can’t expect it.

            • ellipsespatrol [none/use name]
              3 years ago

              literally nobody alive from that time is around anymore lmao, you gonna get mad at what the Romans did to Carthage next?

              • Slowpoke [none/use name]
                3 years ago

                literally nobody alive from the time of US slavery is around anymore lmao, you gonna get mad at what the Romans did to Carthage next?

                You see how that doesn't work? America doesn't get to dodge its responsibility for slavery, and Scandinavia doesn't get to dodge its responsibility for collaboration with the Nazis.

                And we don't mean soup nazis. Not spelling nazis. Not neo-nazis. We mean actual Nazis. The real deal, Scandinavians were no bullshit, assist the war machine to murder Jews and communists, collaborators.

                • Vncredleader
                  3 years ago

                  Scandinavian nazis where Nazis, same as American Nazis where nazis, and Yugoslav nazis where nazis. Scandinavians are included among those Jews and communists.

          • star_wraith [he/him]
            3 years ago

            Like how a ton of Norway's wealth comes fossil fuels polluting the earth.

      • Zodiark
        3 months ago

        deleted by creator

    • Vncredleader
      3 years ago

      I don't disagree necessarily, but don't diss Norway and Denmark's resistances. Norway put up one hell of a fight against the Kriegsmarine despite being outmatched. I don't have the time and its been too long to summarize from Craig Symonds' work but here is a surprisingly good Imgur post on the fighting put up in Narvik even before the British arrived.


      As this was happening the Wilhelm Heidkamp had trained her torpedo tubes on the Eidsvold; when Gerlach left the ship he fired a red flare, a pre-agreed signal with the flotilla that the Norwegians were going to fight. Eidsvold immediately fired up her engines and with surprising speed rushed towards the Wilhelm Heidkamp and readied the port battery of 5.9-inch guns to fire. Startled and fearing being rammed, especially with 200 extra hands onboard, the destroyer unleashed four torpedos at point-blank range. Two of them went straight through the side of the old ship and hit the magazine, blowing the Eidsvold in half before she could even fire her guns. By 04:37 it had sunk, taking 175 of the 183-man crew with it, including Willoch.

      Gotta respect that